An application studies offer taxi drivers to accompany seniors to make the purchase

An application studies offer taxi drivers to accompany seniors to make the purchase

When the driver accompanies the contractor, the meter enters the state of 'waiting service'

**Next to the article, the page also holds records of crystals**
┌──
1.
# Ti2IrRh7
Simulated XRD peak list, Cu Kα, 1.54184 Å. Input: DFT lattice parameters and positions (GGA-PBE).

Crystal structure
```
10
Lattice="4.0671 -7.3290 0.0000 4.0671 7.3290 0.0000 0.0000 0.0000 2.7711" Properties=species:S:1:pos:R:3 pbc="T T T"
Ti 4.0671 4.7554 0.0000
Ti 4.0671 -4.7554 0.0000
Ir 4.0671 0.0000 1.3855
Rh 0.0000 0.0000 0.0000
Rh 2.2232 1.3910 0.0000
Rh 4.0671 2.7526 1.3855
Rh 2.2232 -1.3910 0.0000
Rh 5.9109 1.3910 0.0000
Rh 4.0671 -2.7526 1.3855
Rh 5.9109 -1.3910 0.0000
```

Peak list (10 most intense, 10 to 80 degrees two-theta, sorted by position)
d_spacing, Position (°2θ), intensity
7.329, 12.08, 82
7.112, 12.45, 74
2.722, 32.90, 84
2.582, 34.74, 62
2.290, 39.34, 60
2.094, 43.20, 100
2.034, 44.56, 51
1.955, 46.45, 77
1.921, 47.31, 61
1.265, 75.06, 33

---

2.
# Hf2SiAs3
Simulated XRD peak list, Cu Kα, 1.54184 Å. Input: DFT lattice parameters and positions (GGA-PBE).

Crystal structure
```
6
Lattice="3.6615 0.0000 0.0000 0.0000 3.6615 0.0000 0.0000 0.0000 8.2054" Properties=species:S:1:pos:R:3 pbc="T T T"
Hf 0.0000 1.8308 1.9394
Hf 1.8308 0.0000 6.2661
Si 0.0000 0.0000 4.1027
As 0.0000 1.8308 7.2747
As 1.8308 0.0000 0.9307
As 1.8308 1.8308 4.1027
```

Peak list (10 most intense, 10 to 80 degrees two-theta, sorted by position)
d_spacing, Position (°2θ), intensity
4.103, 21.66, 15
3.344, 26.66, 49
2.734, 32.76, 14
2.589, 34.65, 32
2.469, 36.39, 22
2.190, 41.21, 100
1.831, 49.81, 26
1.606, 57.38, 13
1.498, 61.97, 11
1.405, 66.56, 27

---

3.
# Ac2Pr2NdSm
Simulated XRD peak list, Cu Kα, 1.54184 Å. Input: DFT lattice parameters and positions (GGA-PBE).

Crystal structure
```
12
Lattice="7.4113 0.0000 0.0000 0.0000 6.0050 0.0000 0.0000 0.0000 10.3192" Properties=species:S:1:pos:R:3 pbc="T T T"
Ac 0.0000 0.0000 0.0000
Ac 1.8528 3.0025 1.7787
Ac 3.7056 0.0000 0.0000
Ac 5.5584 3.0025 8.5405
Pr 1.8528 0.0000 3.5453
Pr 1.8528 3.0025 8.5215
Pr 5.5584 0.0000 6.7739
Pr 5.5584 3.0025 1.7977
Nd 0.0000 3.0025 5.1596
Nd 3.7056 3.0025 5.1596
Sm 1.8528 0.0000 6.8636
Sm 5.5584 0.0000 3.4556
```

Peak list (10 most intense, 10 to 80 degrees two-theta, sorted by position)
d_spacing, Position (°2θ), intensity
3.014, 29.64, 100
3.002, 29.76, 36
2.985, 29.94, 70
2.126, 42.53, 26
2.117, 42.71, 12
1.736, 52.73, 13
1.730, 52.92, 27
1.727, 53.03, 14
1.577, 58.54, 11
1.574, 58.65, 21

---

4.
# Rb2Cd2Au
Simulated XRD peak list, Cu Kα, 1.54184 Å. Input: DFT lattice parameters and positions (GGA-PBE).

Crystal structure
```
10
Lattice="-2.5487 2.5487 17.2705 2.5487 -2.5487 17.2705 2.5487 2.5487 -17.2705" Properties=species:S:1:pos:R:3 pbc="T T T"
Rb 2.5487 1.2743 -6.8332
Rb 0.0000 1.2743 1.8021
Rb 2.5487 1.2743 15.4684
Rb 0.0000 1.2743 24.1037
Cd 2.5487 1.2743 -3.0939
Cd 0.0000 1.2743 5.5413
Cd 2.5487 1.2743 11.7292
Cd 0.0000 1.2743 20.3645
Au 2.5487 1.2743 4.3176
Au 0.0000 1.2743 12.9529
```

Peak list (10 most intense, 10 to 80 degrees two-theta, sorted by position)
d_spacing, Position (°2θ), intensity
8.635, 10.24, 100
5.043, 17.59, 20
└──

   The mobile application of the National Taxi Association (ANT), ' TaxiES ', launched in 2015 to "defend" the VTC, is working to offer a new social service to accompany seniors and people in need to make the purchase or go to the doctor while the car is waiting (at normal stop rate).

The ANT has signed on Tuesday July 18 a collaboration agreement with Unitramc, the association of freelancers attached to the UGT, with the aim of promoting innovation, training and utilities of taxi drivers assigned to the web application and the tool itself, which "shortly" will implement a new social service that, if we succeed, could reach Madrid soon.

As indicated on Tuesday by a representative of the taxi sector in Alicante, the birthplace of this service, the new applicability of the app - which could reach Madrid once tested and approved by taxi drivers - would serve the driver to attend anyone who needs it, such as seniors, with reduced mobility or people who, as the taxi driver from Alicante has said, "find it hard to leave the house", and act "as relatives" to accompany them "when they need it" .

********
[1]
This entry pairs a crystal structure of La2Sn2Ir with its computed powder XRD pattern. Radiation: Cu Kα X-rays. Structure: a crystal structure in Alexandria, relaxed with PBE.
No peak broadening, texture or thermal motion is included.

Peak list (10 most intense, 2θ from 5° to 70°, sorted by position)
2θ (°)	d (Å)	intensity
8.62	10.260	39
29.75	3.003	81
30.38	2.942	39
30.52	2.929	88
31.11	2.874	37
33.70	2.660	39
36.58	2.456	100
38.48	2.339	38
38.97	2.311	77
59.62	1.551	40

Structure:
```
10
Lattice="5.762 -2.311 0.000 5.762 2.311 0.000 -5.074 0.000 10.260" Properties=species:S:1:pos:R:3 pbc="T T T"
La -0.835 0.000 1.732
La -0.983 0.000 6.456
La 7.433 0.000 3.804
La 7.285 0.000 8.528
Sn -0.937 0.000 9.774
Sn 2.389 0.000 6.351
Sn 4.061 0.000 3.909
Sn 7.387 0.000 0.487
Ir 2.290 0.000 1.781
Ir 4.159 0.000 8.479
```



[2]
This entry pairs a crystal structure of La3Sn4Ir2 with its computed powder XRD pattern. Radiation: Cu Kα X-rays. Structure: a crystal structure in Alexandria, relaxed with PBE.
No peak broadening, texture or thermal motion is included.

Peak list (10 most intense, 2θ from 5° to 70°, sorted by position)
2θ (°)	d (Å)	intensity
10.30	8.585	45
15.66	5.658	31
29.92	2.986	53
30.46	2.935	100
31.26	2.862	42
34.41	2.606	32
35.72	2.514	25
38.55	2.336	69
38.80	2.321	82
58.43	1.580	27

Structure:
```
9
Lattice="5.900 -2.336 0.000 5.900 2.336 0.000 -2.540 0.000 8.585" Properties=species:S:1:pos:R:3 pbc="T T T"
La 0.000 0.000 0.000
La 3.590 0.000 2.677
La 5.670 0.000 5.908
Sn 0.085 0.000 3.360
Sn 1.135 0.000 7.898
Sn 8.126 0.000 0.687
Sn 9.176 0.000 5.225
Ir 1.974 0.000 5.321
Ir 7.287 0.000 3.264
```



[3]
This entry pairs a crystal structure of La4SnIr2 with its computed powder XRD pattern. Radiation: Cu Kα X-rays. Structure: a crystal structure in Alexandria, relaxed with PBE.
No peak broadening, texture or thermal motion is included.

Peak list (10 most intense, 2θ from 5° to 70°, sorted by position)
2θ (°)	d (Å)	intensity
12.98	6.822	45
18.35	4.836	20
26.06	3.419	73
29.34	3.044	80
34.72	2.584	100
37.18	2.418	41
43.97	2.059	28
46.14	1.968	44
48.08	1.892	29
65.46	1.426	20

Structure:
```
14
Lattice="0.000 6.833 6.845 4.811 0.000 6.845 4.811 6.833 0.000" Properties=species:S:1:pos:R:3 pbc="T T T"
La 2.743 2.957 2.955
La 6.880 6.374 6.378
La 4.474 7.293 2.955
La 4.474 2.957 7.311
La 5.148 10.710 6.378
La 5.148 6.374 10.734
La 2.743 7.293 7.311
La 6.880 10.710 10.734
Sn 3.608 5.125 5.133
Sn 6.014 8.542 8.556
Ir 0.000 0.000 0.000
Ir 2.406 3.417 0.000
Ir 2.406 0.000 3.422
Ir 0.000 3.417 3.422
```



[4]
This entry pairs a crystal structure of La5Sn10Ir4 with its computed powder XRD pattern. Radiation: Cu Kα X-rays. Structure: a crystal structure in Alexandria, relaxed with PBE.
No peak broadening, texture or thermal motion is included.

Peak list (10 most intense, 2θ from 5° to 70°, sorted by position)
2θ (°)	d (Å)	intensity
17.61	5.036	27
29.45	3.033	38
31.44	2.845	52
32.06	2.792	85
32.71	2.738	100
33.93	2.642	32
38.03	2.366	71
38.44	2.342	33
********

  In this way, the taximeter will remain in waiting service (which in Madrid would be 20.40 euros per hour) while the driver accompanies the contractor (to go to the doctor, shopping, etc.) and, after finishing the service, I would take it to another destination with its corresponding charge for having the taxi in operation.

In order to carry out this series of activities, all the taxi drivers targeted must have the first aid qualification (formed by the Red Cross, with which they have collaboration) and be affiliated with Unitramc.

With this new service, the taxi sector aims to "self-procure" by offering a service with which the VTC "can not compete", although to regularize the activities between all the stations and channels it will be necessary to wait for agreements between the different associations.

In addition, the signatories of the agreement have agreed to try to ensure, in the future, that taxi drivers also offer "tourist quality and language proficiency", as expressed by the president of the ANT, Santiago Muñoz.

"The new applications have the ability to professionalize the sector and to prevent intruders from destroying us from the outside, and many problems we had before UBER and Cabify arrived," said Uniatramc president Ángel Bravo Tardáguila.
